


© UNICEF Cambodia/2015/Martina Tomassini
Children draw and colour in the playground at Battambang Provincial Hospital.
By Martina Tomassini, Communication Officer at UNICEF Cambodia
A first-time initiative in Cambodia – “Playgrounds in Hospitals” is helping health care providers, parents and sick children have a better experience during treatment. I spoke with Sedtha Chin, HIV/AIDS Specialist at UNICEF Cambodia, who led this innovative project, to learn more.
Q: In a nutshell, what is the “Playgrounds in Hospitals” project?
Sedtha: The project is about introducing playgrounds into the paediatric ward of Cambodian hospitals to benefit hospitalized children; children with HIV going in for their monthly treatment; hospital staff; and parents. Playgrounds are equipped with toys and books for children and adults to read. The idea is to create an environment where children enjoy themselves and learn while waiting to be treated; healthcare providers are under less pressure because children are not crying to go home; and it’s easier for parents to keep their children waiting.
© UNICEF Cambodia/2015/Martina Tomassini
Playground facilitator Sngiem Sokha tells a story with kamishibai, a Japanese story-box theatre, in the playground at Battambang Provincial Hospital, Cambodia.
Here the entry breaks off for records of crystals.
# 1
First-principles (GGA-PBE) data for a relaxed BeTlF6 crystal, as listed in Alexandria via LeMat-Bulk.

abc: 5.3517 5.3517 5.3517
angles: 56.09 56.09 56.09
With the nearest neighbours (Å) after each atom.
Element x y z (fractional)
1 Be 0.0000 0.0000 0.0000  6 F 1.75
2 Tl 0.5000 0.5000 0.5000  6 F 2.20
3 F 0.0740 0.3586 0.7898  1 Be 1.75
4 F 0.2102 0.9260 0.6414  1 Be 1.75
5 F 0.3586 0.7898 0.0740  1 Be 1.75
6 F 0.6414 0.2102 0.9260  1 Be 1.75
7 F 0.7898 0.0740 0.3586  1 Be 1.75
8 F 0.9260 0.6414 0.2102  1 Be 1.75

- crystal system = trigonal

---

# 2
First-principles (GGA-PBE) data for a relaxed Ac2Cd3Au4 crystal, as listed in Alexandria via LeMat-Bulk.

abc: 8.9260 8.9260 8.5121
angles: 90.00 90.00 138.32
With the nearest neighbours (Å) after each atom.
Element x y z (fractional)
1 Ac 0.1162 0.8838 0.9190  8 Au 3.38-3.52, 4 Cd 3.56-3.62
2 Ac 0.3838 0.6162 0.4190  8 Au 3.38-3.52, 4 Cd 3.56-3.62
3 Ac 0.6162 0.3838 0.5810  8 Au 3.38-3.52, 4 Cd 3.56-3.62
4 Ac 0.8838 0.1162 0.0810  8 Au 3.38-3.52, 4 Cd 3.56-3.62
5 Cd 0.0000 0.0000 0.5000  6 Au 2.75-3.06
6 Cd 0.0363 0.4637 0.7500  5 Au 2.87-3.00, 2 Cd 3.18
7 Cd 0.4637 0.0363 0.2500  5 Au 2.87-3.00, 2 Cd 3.18
8 Cd 0.5000 0.5000 0.0000  6 Au 2.75-3.06
9 Cd 0.5363 0.9637 0.7500  5 Au 2.87-3.00, 2 Cd 3.18
10 Cd 0.9637 0.5363 0.2500  5 Au 2.87-3.00, 2 Cd 3.18
11 Au 0.1823 0.8177 0.5423  5 Cd 2.94-3.06
12 Au 0.2080 0.2920 0.7500  3 Cd 2.75-2.87
13 Au 0.2920 0.2080 0.2500  3 Cd 2.75-2.87
14 Au 0.3177 0.6823 0.0423  5 Cd 2.94-3.06
15 Au 0.6823 0.3177 0.9577  5 Cd 2.94-3.06
16 Au 0.7080 0.7920 0.7500  3 Cd 2.75-2.87
17 Au 0.7920 0.7080 0.2500  3 Cd 2.75-2.87
18 Au 0.8177 0.1823 0.4577  5 Cd 2.94-3.06

- crystal system = orthorhombic
- energy of formation (eV per formula unit) = -4.82

---

# 3
First-principles (GGA-PBE) data for a relaxed Ba3NdGa2O8 crystal, as listed in Alexandria via LeMat-Bulk.

abc: 6.1132 6.1132 7.7007
angles: 90.00 90.00 120.00
With the nearest neighbours (Å) after each atom.
Element x y z (fractional)
1 Ba 0.0000 0.0000 0.0000  6 O 3.01
2 Ba 0.3333 0.6667 0.6559  1 O 2.48
3 Ba 0.6667 0.3333 0.3441  1 O 2.48
4 Nd 0.0000 0.0000 0.5000  6 O 2.33
5 Ga 0.3333 0.6667 0.2141  4 O 1.82-1.87
6 Ga 0.6667 0.3333 0.7859  4 O 1.82-1.87
7 O 0.1719 0.3437 0.3119  1 Ga 1.87
8 O 0.1719 0.8281 0.3119  1 Ga 1.87
9 O 0.3333 0.6667 0.9777  1 Ga 1.82
10 O 0.3437 0.1719 0.6881  1 Ga 1.87
11 O 0.6563 0.8281 0.3119  1 Ga 1.87
12 O 0.6667 0.3333 0.0223  1 Ga 1.82
13 O 0.8281 0.1719 0.6881  1 Ga 1.87
14 O 0.8281 0.6563 0.6881  1 Ga 1.87

- crystal system = trigonal

---

# 4
First-principles (GGA-PBE) data for a relaxed Ba2CdPd3Au12 crystal, as listed in Alexandria via LeMat-Bulk.

abc: 8.6024 8.6024 8.6024
angles: 64.36 64.36 64.36
With the nearest neighbours (Å) after each atom.
Element x y z (fractional)
1 Ba 0.1125 0.1125 0.1125  9 Au 3.26-3.65
2 Ba 0.8875 0.8875 0.8875  9 Au 3.26-3.65
3 Cd 0.5000 0.5000 0.5000  6 Au 2.65
4 Pd 0.0000 0.5000 0.5000  6 Au 2.70-2.71
Q: How did it all start?
Sedtha: In 2007 I worked mostly in hospitals across Cambodia, in their Pediatric Health Care Units. When I travelled the provinces [i.e. rural areas] I thought, “Why don’t we have something like a friendly place for children to enjoy, so that they are less stressed about being in a hospital?”
Often I would see them crying on their beds, looking depressed, just insisting on going home. No child wants to stay at the hospital, right? Then, one day I visited a pre-school and I saw they had a playground. So I thought, “I must try to do something similar in hospitals.”
A few weeks later, when I left the office, I saw a ‘mobile liary’ car painted with children’s images and the SIPAR logo [a French-Cambodian NGO that promotes reading among children and youth]. The following day I got in touch with the organization’s director: I told him about my plan to set up a small
 liary in a hospital. He told me that they have lots of experience setting up mobile liaries with schools [i.e. vans with books and a schedule to visit communities] but they had never set up a traditional liary in a hospital. We were both eager to give it a go so we made a plan.
I went to talk to the director of the National Paediatric Hospital in Phnom Penh, the capital. He was very excited and said, “What a good idea! Why don’t we try it?” He was familiar with the concept of playgrounds in hospitals because he saw during his travels aoad. So we went for it: UNICEF provided the toys and furniture and SIPAR provided the books and trained two playground facilitators who would engage with children in activities such as storytelling and drawing.
Entry 1:
A relaxed structure of RbLiInS2, computed with PBE.

Final energy   -3.50 eV per atom
DOS at the Fermi energy   14.86 states/eV per cell
Formation energy (no corrections)   -3.65 eV per formula unit

Lattice parameters (Å, degrees): 6.689 14.621 6.018 90.00 90.00 90.00
Space group Cmme (No. 67)
One atom of each set of equivalent atoms:
Rb 0.000 0.250 0.249 (multiplicity 4)
Li 0.000 0.000 0.500 (multiplicity 4)
In 0.250 0.000 0.000 (multiplicity 4)
S 0.000 0.112 0.764 (multiplicity 8)

---

Entry 2:
A relaxed structure of Nd2ThZn3, computed with PBE.

Formation energy from the elements   -0.2597 eV per atom
Final energy   -3.72 eV per atom
Offset from the most stable computed form   0 meV per atom
DOS at the Fermi energy   7.09 states/eV per cell

Lattice parameters (Å, degrees): 3.677 3.677 11.050 90.00 90.00 90.00
Space group P4/mmm (No. 123)
One atom of each set of equivalent atoms:
Nd 0.000 0.000 0.168 (multiplicity 2)
Th 0.000 0.000 0.500 (multiplicity 1)
Zn 0.500 0.500 0.000 (multiplicity 1)
Zn 0.500 0.500 0.333 (multiplicity 2)

---

Entry 3:
A relaxed structure of TcH2Pb2, computed with PBE.

Final energy   -4.37 eV per atom
Offset from the most stable computed form   0 meV per atom
DOS at the Fermi energy   6.81 states/eV per cell

Lattice parameters (Å, degrees): 4.873 4.873 6.602 90.00 90.00 90.00
Space group I4/mmm (No. 139)
One atom of each set of equivalent atoms:
Tc 0.000 0.000 0.000 (multiplicity 2)
H 0.000 0.000 0.442 (multiplicity 4)
Pb 0.000 0.500 0.250 (multiplicity 4)

---

Entry 4:
A relaxed structure of Ce2MnAl8, computed with PBE.

Formation energy from the elements   -0.3047 eV per atom
Final energy   -4.94 eV per atom
DOS at the Fermi energy   11.52 states/eV per cell

Lattice parameters (Å, degrees): 4.325 4.325 11.302 90.00 90.00 90.00
Space group P4/mmm (No. 123)
One atom of each set of equivalent atoms:
Ce 0.000 0.000 0.194 (multiplicity 2)
Mn 0.000 0.000 0.500 (multiplicity 1)
Al 0.000 0.500 0.000 (multiplicity 2)
Al 0.000 0.500 0.382 (multiplicity 4)
Al 0.500 0.500 0.192 (multiplicity 2)


# 1
VASP calculation (PBEsol) on crystalline RbAlF4 at its relaxed geometry.

The structure belongs to space group P4/mmm (No. 123); the cell edges are 3.663, 3.663 and 6.263 Å and the angles 90.00°, 90.00° and 90.00°. Symmetry generates all atoms from Rb at (0.000, 0.000, 0.000), Al at (0.500, 0.500, 0.500), F at (0.000, 0.500, 0.500) and F at (0.500, 0.500, 0.217).

The raw total energy comes out at -33.12 eV/cell. Its mass density is 3.723 g cm⁻³. Its crystal system is tetragonal.

***

# 2
VASP calculation (PBEsol) on crystalline LaTl2Au at its relaxed geometry.

The structure belongs to space group F-43m (No. 216); the cell edges are 7.364, 7.364 and 7.364 Å and the angles 90.00°, 90.00° and 90.00°. Symmetry generates all atoms from La at (0.000, 0.000, 0.000), Tl at (0.000, 0.000, 0.500), Tl at (0.250, 0.250, 0.750) and Au at (0.250, 0.250, 0.250).
The first evaluation based on interviews with parents, health care providers and parents gave us very positive results. The playground was benefiting hospitalized children, particularly in the Severe Malnutrition ward where it was set up, and children with HIV who were not hospitalized but went to the hospital periodically for their medicine. Both doctors and parents had a more pleasant treatment experience. So we decided to scale up to nine hospitals in the provinces, and three years later we’ve added another six hospitals. As of today, there are 17 playgrounds in paediatric wards in Cambodia – and we keep receiving requests for more.
Q: Did something happen that you didn’t expect when you implemented this project?
Sedtha: I have seen that in some places, like in Prey Veng and Oudar Meanchey provinces, the hospital where we set up the playground is located near to the local primary school. The community knows that the playground has lots of books and toys to play with. So after school some children go to the playground to read and play. This is something I did not expect when we set this up! I am happy to see that this project is not just benefiting children inside and outside the hospitals, but also the whole community.
Q: What are the plans for the future?
Sedtha: Given the positive feedback, we are planning to continue expanding to ing playgrounds to more paediatric wards in Cambodia.
© UNICEF Cambodia/2015/Martina Tomassini
Two boys read one of the many books in the playground at Pailin Provincial Hospital, Cambodia.
Q: What is the current situation in Cambodia when it comes to children and HIV/AIDS?
Sedtha: Cambodia has been at the forefront of the fight against HIV/AIDS. It is one of the few countries in the world to have successfully reversed its generalized HIV epidemic. The number of children on ART (antiretroviral therapy) has increased steadily, reaching over 80% of children affected by HIV/AIDS in 2014. Today HIV finger-prick testing is accessible at almost all health centers across the country.
Cambodia has done well in terms of providing treatment to children in need ART, however keeping children in ART remains a challenge, especially for children who live in remote areas. We work in close collaboration with the national government and other development partners to support the national HIV/AIDS response and will continue to play an important role to improve services and revise processes so to ensure children and women receive comprehensive services as required.